Entries:
<<<
Record 1
Density functional theory data (r²SCAN) for an optimized crystal structure of Sc4Mn4Si7.

Values from the calculation:
total magnetization: 8.33 μB per formula unit
energy of formation from the pure elements: -0.630 eV per atom
DFT total energy: -350.377 eV for the cell shown

a = 5.176 Å, b = 9.681 Å, c = 9.680 Å
α = 85.90°, β = 74.50°, γ = 74.50°
Fractional coordinates of all 30 atoms:
1 Sc 0.195 0.805 0.805
2 Mn 0.899 0.202 0.500
3 Si 0.794 0.412 0.000
4 Mn 0.399 0.500 0.203
5 Si 0.000 0.411 0.589
6 Mn 0.101 0.798 0.500
7 Sc 0.363 0.000 0.275
8 Sc 0.805 0.195 0.195
9 Si 0.248 0.000 0.000
10 Si 0.410 0.589 0.589
11 Si 0.206 0.293 0.294
12 Mn 0.899 0.500 0.202
13 Sc 0.637 0.000 0.725
14 Si 0.206 0.000 0.588
15 Si 0.794 0.707 0.706
16 Sc 0.000 0.805 0.195
17 Si 0.500 0.706 0.294
18 Mn 0.399 0.203 0.500
19 Mn 0.101 0.500 0.798
20 Si 0.206 0.588 0.000
21 Sc 0.637 0.725 0.000
22 Mn 0.601 0.798 0.500
23 Si 0.000 0.589 0.411
24 Si 0.752 0.000 0.000
25 Si 0.590 0.411 0.411
26 Sc 0.000 0.195 0.805
27 Sc 0.363 0.275 0.000
28 Si 0.794 0.000 0.412
29 Mn 0.601 0.500 0.797
30 Si 0.500 0.294 0.706

Record 2
Density functional theory data (r²SCAN) for an optimized crystal structure of Sc6MnTe2.

Values from the calculation:
total magnetization: 1.02 μB per formula unit
energy of formation from the pure elements: -0.672 eV per atom
DFT total energy: -139.953 eV for the cell shown

a = 7.711 Å, b = 7.711 Å, c = 3.955 Å
α = 90.00°, β = 90.00°, γ = 120.00°
Fractional coordinates of all 9 atoms:
1 Sc 0.761 0.761 0.500
2 Sc 0.000 0.239 0.500
3 Sc 0.612 0.000 0.000
4 Te 0.667 0.333 0.500
5 Sc 0.239 0.000 0.500
6 Sc 0.388 0.388 0.000
7 Te 0.333 0.667 0.500
8 Mn 0.000 0.000 0.000
9 Sc 0.000 0.612 0.000

Record 3
Density functional theory data (r²SCAN) for an optimized crystal structure of Mn2SiSe4.

Values from the calculation:
total magnetization: 10.00 μB per formula unit
energy of formation from the pure elements: -0.783 eV per atom
DFT total energy: -403.458 eV for the cell shown

a = 6.247 Å, b = 7.801 Å, c = 13.350 Å
α = 90.00°, β = 90.00°, γ = 90.00°
Fractional coordinates of all 28 atoms:
1 Se 0.733 0.250 0.592
2 Se 0.758 0.750 0.568
3 Se 0.251 0.020 0.668
4 Se 0.749 0.520 0.332
5 Se 0.242 0.250 0.432
6 Se 0.233 0.750 0.908
7 Se 0.767 0.250 0.092
8 Mn 0.494 0.750 0.233
9 Se 0.749 0.980 0.332
10 Mn 0.500 0.000 0.500
11 Mn 0.506 0.250 0.767
12 Se 0.742 0.750 0.068
13 Se 0.267 0.750 0.408
14 Se 0.249 0.020 0.168
15 Mn 0.500 0.500 0.500
16 Mn 0.000 0.500 0.000
17 Si 0.594 0.750 0.911
18 Mn 0.000 0.000 0.000
19 Se 0.258 0.250 0.932
20 Si 0.906 0.750 0.411
21 Mn 0.006 0.750 0.733
22 Se 0.249 0.480 0.168
23 Si 0.094 0.250 0.589
24 Se 0.751 0.520 0.832
25 Se 0.751 0.980 0.832
26 Si 0.406 0.250 0.089
27 Mn 0.994 0.250 0.267
28 Se 0.251 0.480 0.668

Record 4
Density functional theory data (r²SCAN) for an optimized crystal structure of ThMnSe3.

Values from the calculation:
total magnetization: 5.00 μB per formula unit
energy of formation from the pure elements: -1.616 eV per atom
DFT total energy: -278.351 eV for the cell shown

a = 4.052 Å, b = 6.714 Å, c = 9.347 Å
α = 90.00°, β = 90.00°, γ = 107.57°
Fractional coordinates of all 10 atoms:
1 Se 0.083 0.165 0.750
2 Th 0.251 0.501 0.250
3 Mn 0.000 0.000 0.500
4 Mn 0.000 0.000 0.000
5 Se 0.644 0.287 0.059
6 Se 0.356 0.713 0.941
7 Se 0.644 0.287 0.441
8 Se 0.356 0.713 0.559
9 Se 0.917 0.835 0.250
10 Th 0.749 0.499 0.750

Record 5
Density functional theory data (r²SCAN) for an optimized crystal structure of Mn2ZnSe4.

Values from the calculation:
total magnetization: 8.00 μB per formula unit
energy of formation from the pure elements: -0.810 eV per atom
DFT total energy: -202.386 eV for the cell shown

a = 7.540 Å, b = 7.540 Å, c = 7.540 Å
α = 60.00°, β = 60.00°, γ = 60.00°
Fractional coordinates of all 14 atoms:
1 Se 0.383 0.383 0.383
2 Zn 0.000 0.000 0.000
3 Mn 0.625 0.625 0.125
4 Mn 0.625 0.625 0.625
5 Se 0.398 0.867 0.867
6 Se 0.867 0.398 0.867
7 Mn 0.625 0.125 0.625
8 Mn 0.125 0.625 0.625
>>>

Work order:
Repeat the whole of the rows earlier on with every line break kept.

Response:
Record 1
Density functional theory data (r²SCAN) for an optimized crystal structure of Sc4Mn4Si7.

Values from the calculation:
total magnetization: 8.33 μB per formula unit
energy of formation from the pure elements: -0.630 eV per atom
DFT total energy: -350.377 eV for the cell shown

a = 5.176 Å, b = 9.681 Å, c = 9.680 Å
α = 85.90°, β = 74.50°, γ = 74.50°
Fractional coordinates of all 30 atoms:
1 Sc 0.195 0.805 0.805
2 Mn 0.899 0.202 0.500
3 Si 0.794 0.412 0.000
4 Mn 0.399 0.500 0.203
5 Si 0.000 0.411 0.589
6 Mn 0.101 0.798 0.500
7 Sc 0.363 0.000 0.275
8 Sc 0.805 0.195 0.195
9 Si 0.248 0.000 0.000
10 Si 0.410 0.589 0.589
11 Si 0.206 0.293 0.294
12 Mn 0.899 0.500 0.202
13 Sc 0.637 0.000 0.725
14 Si 0.206 0.000 0.588
15 Si 0.794 0.707 0.706
16 Sc 0.000 0.805 0.195
17 Si 0.500 0.706 0.294
18 Mn 0.399 0.203 0.500
19 Mn 0.101 0.500 0.798
20 Si 0.206 0.588 0.000
21 Sc 0.637 0.725 0.000
22 Mn 0.601 0.798 0.500
23 Si 0.000 0.589 0.411
24 Si 0.752 0.000 0.000
25 Si 0.590 0.411 0.411
26 Sc 0.000 0.195 0.805
27 Sc 0.363 0.275 0.000
28 Si 0.794 0.000 0.412
29 Mn 0.601 0.500 0.797
30 Si 0.500 0.294 0.706

Record 2
Density functional theory data (r²SCAN) for an optimized crystal structure of Sc6MnTe2.

Values from the calculation:
total magnetization: 1.02 μB per formula unit
energy of formation from the pure elements: -0.672 eV per atom
DFT total energy: -139.953 eV for the cell shown

a = 7.711 Å, b = 7.711 Å, c = 3.955 Å
α = 90.00°, β = 90.00°, γ = 120.00°
Fractional coordinates of all 9 atoms:
1 Sc 0.761 0.761 0.500
2 Sc 0.000 0.239 0.500
3 Sc 0.612 0.000 0.000
4 Te 0.667 0.333 0.500
5 Sc 0.239 0.000 0.500
6 Sc 0.388 0.388 0.000
7 Te 0.333 0.667 0.500
8 Mn 0.000 0.000 0.000
9 Sc 0.000 0.612 0.000

Record 3
Density functional theory data (r²SCAN) for an optimized crystal structure of Mn2SiSe4.

Values from the calculation:
total magnetization: 10.00 μB per formula unit
energy of formation from the pure elements: -0.783 eV per atom
DFT total energy: -403.458 eV for the cell shown

a = 6.247 Å, b = 7.801 Å, c = 13.350 Å
α = 90.00°, β = 90.00°, γ = 90.00°
Fractional coordinates of all 28 atoms:
1 Se 0.733 0.250 0.592
2 Se 0.758 0.750 0.568
3 Se 0.251 0.020 0.668
4 Se 0.749 0.520 0.332
5 Se 0.242 0.250 0.432
6 Se 0.233 0.750 0.908
7 Se 0.767 0.250 0.092
8 Mn 0.494 0.750 0.233
9 Se 0.749 0.980 0.332
10 Mn 0.500 0.000 0.500
11 Mn 0.506 0.250 0.767
12 Se 0.742 0.750 0.068
13 Se 0.267 0.750 0.408
14 Se 0.249 0.020 0.168
15 Mn 0.500 0.500 0.500
16 Mn 0.000 0.500 0.000
17 Si 0.594 0.750 0.911
18 Mn 0.000 0.000 0.000
19 Se 0.258 0.250 0.932
20 Si 0.906 0.750 0.411
21 Mn 0.006 0.750 0.733
22 Se 0.249 0.480 0.168
23 Si 0.094 0.250 0.589
24 Se 0.751 0.520 0.832
25 Se 0.751 0.980 0.832
26 Si 0.406 0.250 0.089
27 Mn 0.994 0.250 0.267
28 Se 0.251 0.480 0.668

Record 4
Density functional theory data (r²SCAN) for an optimized crystal structure of ThMnSe3.

Values from the calculation:
total magnetization: 5.00 μB per formula unit
energy of formation from the pure elements: -1.616 eV per atom
DFT total energy: -278.351 eV for the cell shown

a = 4.052 Å, b = 6.714 Å, c = 9.347 Å
α = 90.00°, β = 90.00°, γ = 107.57°
Fractional coordinates of all 10 atoms:
1 Se 0.083 0.165 0.750
2 Th 0.251 0.501 0.250
3 Mn 0.000 0.000 0.500
4 Mn 0.000 0.000 0.000
5 Se 0.644 0.287 0.059
6 Se 0.356 0.713 0.941
7 Se 0.644 0.287 0.441
8 Se 0.356 0.713 0.559
9 Se 0.917 0.835 0.250
10 Th 0.749 0.499 0.750

Record 5
Density functional theory data (r²SCAN) for an optimized crystal structure of Mn2ZnSe4.

Values from the calculation:
total magnetization: 8.00 μB per formula unit
energy of formation from the pure elements: -0.810 eV per atom
DFT total energy: -202.386 eV for the cell shown

a = 7.540 Å, b = 7.540 Å, c = 7.540 Å
α = 60.00°, β = 60.00°, γ = 60.00°
Fractional coordinates of all 14 atoms:
1 Se 0.383 0.383 0.383
2 Zn 0.000 0.000 0.000
3 Mn 0.625 0.625 0.125
4 Mn 0.625 0.625 0.625
5 Se 0.398 0.867 0.867
6 Se 0.867 0.398 0.867
7 Mn 0.625 0.125 0.625
8 Mn 0.125 0.625 0.625